Tatsfield Horticultural Society

Minutes of the committee meeting

held at the Aileen McHugo building on Wednesday 9th March 2022

Present:- Pam Bishop (PB)(Chairman), Peter Maynard (PM)(Secretary), Christine Stainer (CS)(Subscriptions Secretary), Bob David (BD)(President), Catherine Webber (CW), Carol Gaskell (CG) and Dilo de Alwis (DdA)

Apologies for absence

Sue Warren (SW)

Minutes from last meeting held on 26th January 2022.

No amendments. The minutes were signed by PB.

____________
[1]
Sc7CBr12: relaxed, r²SCAN.

abc: 8.5309 8.5309 8.5309
angles: 107.65 107.65 107.65
Last column: nearest neighbours and their distance in Å.
Fractional coordinates of all 20 atoms:
Sc  0.0000  0.0000  0.0000  6 Br 2.66-2.77
Sc  0.2313  0.4300  0.4977  1 C 2.27
Sc  0.4300  0.4977  0.2313  1 C 2.27
Sc  0.4977  0.2313  0.4300  1 C 2.27
Sc  0.5594  0.8175  0.6254  1 C 2.30
Sc  0.6254  0.5594  0.8175  1 C 2.30
Sc  0.8175  0.6254  0.5594  1 C 2.30
C  0.5197  0.5197  0.5197  6 Sc 2.27-2.30
Br  0.0647  0.3637  0.1391  3 Sc 2.73-2.77
Br  0.1391  0.0647  0.3637  3 Sc 2.73-2.77
Br  0.2138  0.7500  0.5989  2 Sc 2.67-2.75
Br  0.3008  0.4459  0.8343  2 Sc 2.70-2.71
Br  0.3637  0.1391  0.0647  3 Sc 2.73-2.77
Br  0.4459  0.8343  0.3008  2 Sc 2.70-2.71
Br  0.5989  0.2138  0.7500  2 Sc 2.67-2.75
Br  0.6687  0.9092  0.9890  3 Sc 2.66-2.75
Br  0.7500  0.5989  0.2138  2 Sc 2.67-2.75
Br  0.8343  0.3008  0.4459  2 Sc 2.70-2.71
Br  0.9092  0.9890  0.6687  3 Sc 2.66-2.75
Br  0.9890  0.6687  0.9092  3 Sc 2.66-2.75

**Size of the total moment**: 0.050 μB/atom
**Energy**: -14.185 eV per atom


[2]
Nd2ZnSb4: relaxed, r²SCAN.

abc: 4.3772 4.3772 10.1374
angles: 90.00 90.00 90.00
Last column: nearest neighbours and their distance in Å.
Fractional coordinates of all 7 atoms:
Nd  0.0000  0.5000  0.2494  8 Sb 3.26-3.34, 2 Zn 3.35
Nd  0.5000  0.0000  0.7506  8 Sb 3.26-3.34, 2 Zn 3.35
Zn  0.5000  0.5000  0.5000  4 Sb 2.67
Sb  0.0000  0.0000  0.0000  4 Sb 3.10, 4 Nd 3.34
Sb  0.0000  0.5000  0.6501  2 Zn 2.67
Sb  0.5000  0.0000  0.3499  2 Zn 2.67
Sb  0.5000  0.5000  0.0000  4 Sb 3.10, 4 Nd 3.34

**Size of the total moment**: 0.000 μB/atom
**Energy**: -25.225 eV per atom


[3]
BaIrO3: relaxed, r²SCAN.

abc: 5.8327 5.8327 14.9743
angles: 101.59 101.59 59.54
Last column: nearest neighbours and their distance in Å.
Fractional coordinates of all 30 atoms:
Ba  0.1339  0.1339  0.4258  9 O 2.67-2.94
Ba  0.2698  0.2698  0.7491  9 O 2.74-3.01
Ba  0.3528  0.3528  0.0765  9 O 2.75-2.93
Ba  0.6472  0.6472  0.9235  9 O 2.75-2.93
Ba  0.7302  0.7302  0.2509  9 O 2.74-3.01
Ba  0.8661  0.8661  0.5742  9 O 2.67-2.94
Ir  0.0000  0.0000  0.0000  6 O 2.04
Ir  0.0382  0.0382  0.1743  6 O 2.02-2.05
Ir  0.4233  0.4233  0.3255  6 O 2.02-2.07
Ir  0.5000  0.5000  0.5000  6 O 2.04-2.05
Ir  0.5767  0.5767  0.6745  6 O 2.02-2.07
Ir  0.9618  0.9618  0.8257  6 O 2.02-2.05
O  0.1298  0.6646  0.9068  2 Ir 2.02-2.04
O  0.1418  0.1418  0.9230  2 Ir 2.04-2.05
O  0.1464  0.6266  0.4161  2 Ir 2.04
O  0.2061  0.7042  0.2388  2 Ir 2.02-2.03
O  0.2167  0.2167  0.2693  2 Ir 2.03-2.07
O  0.2958  0.7939  0.7612  2 Ir 2.02-2.03
O  0.3354  0.8702  0.0932  2 Ir 2.02-2.04
O  0.3734  0.8536  0.5839  2 Ir 2.04
O  0.3845  0.3845  0.5955  2 Ir 2.03-2.05
O  0.6155  0.6155  0.4045  2 Ir 2.03-2.05
O  0.6266  0.1464  0.4161  2 Ir 2.04
O  0.6646  0.1298  0.9068  2 Ir 2.02-2.04
O  0.7042  0.2061  0.2388  2 Ir 2.02-2.03
O  0.7833  0.7833  0.7307  2 Ir 2.03-2.07
O  0.7939  0.2958  0.7612  2 Ir 2.02-2.03
O  0.8536  0.3734  0.5839  2 Ir 2.04
____________
# So much for the materials data

Open Actions :-

All items : done, ongoing, or on the agenda.

CW had indicated that she was no longer prepared to serve as vice-chairman, for personal reasons. No member of the committee volunteered to serve but CG suggested DdA. He agreed to do it if no other committee member volunteered, and the matter was deferred until the next meeting.

Review of Recent Events

Garden Club 8th March. Bryan Everest – our new vice-president – spoke to a record attendance of 34 people about growing vegetables. As usual, he gave away many plants and seeds, and the evening was a great success.


See attached reports from MA.

Forthcoming events

Spring Show 9th April. CG supplied everyone with an annotated version of the Spring Show organisation chart (appended). She had booked the Ship for lunch, and ascertained numbers attending – approximately 30. She had booked all the judges except for Flower Arranging. She had been unable to contact Pauline Conlon about this, and PM said he would supply her telephone number. Refreshments were being organised by Jan Maynard. CG, CW, PB and CS all offered to make a cake. CG asked whether the use of Oasis would be permitted. It was agreed that, until any ban was advertised in the yearbook, this would not be done, but competitors should be encouraged to use biodegradable Oasis.

Plant Sale, 7th May. In the absence of Jon Allbutt (JA) detailed discussions were not possible. PM agreed to write to JA to ask if he would purchase the plants for the sale, which it was agreed should come from Barnsfold.

Wisley visit 21st May. SW had agreed to organise this.

Evening Garden Visit – Titsey Place. SW had booked Tuesday 5th July, but this was flexible, depending on who was available on this and adjacent dates . The committee agreed that SW should decide on the most appropriate date. It was agreed that every attendee should be responsible for bringing their own picnic, but that THS would provide wine and soft drinks, details to be finalised nearer the date when approximate numbers would be known. PM to email SW.

Tatsfield Garden Visit. The committee agreed that this should be cancelled this year.







2022/2023 Yearbook

No formal update could be given in the absence of JA and Martin Allen (MA), but CS had sent letters asking for help in distributing the yearbook once printed (see subscriptions report) and DdA volunteered to help distribution along Ricketts Hill. It was understood that the yearbook was in hand and would be finished soon.

## Data records, kept here for reference
+++
! Al2Bi2O7, optimized geometry, DFT PBE-GGA; values from VASP
! Magnetization   2.261 μB/f.u.
! Electronic total energy   -5.8303 eV/atom
&SYSTEM
  ibrav = 0, nat = 22, ntyp = 3
/
ATOMIC_SPECIES
Al 26.98 Al.upf
Bi 208.98 Bi.upf
O 16.00 O.upf
ATOMIC_POSITIONS angstrom
Al 0.0000 0.0000 0.0000
Al 2.5402 2.5402 0.0000
Al 2.5402 0.0000 2.5402
Al 0.0000 2.5402 2.5402
Bi 5.0803 2.5402 2.5402
Bi 2.5402 5.0803 2.5402
Bi 2.5402 2.5402 5.0803
Bi 5.0803 5.0803 5.0803
O 3.8102 3.8102 0.9261
O 3.8102 0.9261 3.8102
O 6.6943 3.8102 3.8102
O 1.2701 1.2701 1.2701
O 6.3504 6.3504 3.4663
O 6.3504 3.4663 6.3504
O 9.2345 6.3504 6.3504
O 0.9261 3.8102 3.8102
O 3.8102 6.6943 3.8102
O 3.8102 3.8102 6.6943
O 8.8906 8.8906 8.8906
O 3.4663 6.3504 6.3504
O 6.3504 9.2345 6.3504
O 6.3504 6.3504 9.2345
CELL_PARAMETERS angstrom
0.0000 5.0803 5.0803
5.0803 0.0000 5.0803
5.0803 5.0803 0.0000

! AlBi3O9, optimized geometry, DFT PBE-GGA; values from VASP
! Magnetization   0.000 μB/f.u.
! Electronic total energy   -5.7147 eV/atom
&SYSTEM
  ibrav = 0, nat = 26, ntyp = 3
/
ATOMIC_SPECIES
Al 26.98 Al.upf
Bi 208.98 Bi.upf
O 16.00 O.upf
ATOMIC_POSITIONS angstrom
Al 4.6412 2.6136 6.6224
Al 5.1544 -2.6136 0.0000
Bi 0.6100 0.0518 3.1279
Bi 0.0969 -0.0518 9.7503
Bi 3.2779 0.0122 11.7154
Bi 3.7911 -0.0122 5.0930
Bi 7.4768 0.0747 0.8773
Bi 6.9637 -0.0747 7.4997
O 4.3142 2.0382 1.6570
O 2.2854 0.9608 4.0148
O 3.4044 1.1296 6.8714
O 5.1355 1.7432 4.9955
O 5.9773 1.8298 7.7369
O 4.1586 0.8081 9.9914
O 4.9597 1.0140 12.8858
O 1.7722 -0.9608 10.6372
O 6.9611 0.9801 2.6834
O 3.9176 -1.1296 0.2489
O 4.6717 -0.8081 3.3689
O 8.1769 0.7711 5.8274
O 5.4729 -1.0140 6.2634
O 3.8010 -2.0382 8.2794
O 4.6223 -1.7432 11.6179
O 6.4480 -0.9801 9.3058
O 7.6637 -0.7711 12.4498
O 6.4905 -1.8298 1.1145
CELL_PARAMETERS angstrom
5.1544 -2.6461 0.0000
5.1544 2.6461 0.0000
-1.0263 0.0000 13.2449

Q: Which value of magnetization does entry 2 give?
A: 0.000 μB/f.u.

Q: Which value of magnetization does entry 1 give?
A: 2.261 μB/f.u.
+++

Regular Updates

Subscriptions : CS : see attached report. CS still had 4 routes to cover.

TIB : JA : see attached report.

Composting : DdA. See attached report.

Website : DdA. See attached report. Members were encouraged to look at the new website, which is currently on one of his domains (dealwis.info) as he had used multiple styles on different pages to show different approaches. One of these would have to be chosen by the committee before the new website went live.


Committee Membership

PM reminded the committee that three members had recently resigned for various reasons. Members were asked to think of residents who might be persuaded to join the committee.





Any Other Business

Annual Parish Meeting 4th April. No member of the committee had been asked by the Parish Clerk to write a report on the Society’s activities in 2021. PM offered to write and submit a report.


Date of next meeting

The next meeting will be on Wednesday May 11th 2022 at 7.30pm in the Parish Room at the Aileen McHugo building.